The web page index.html provides a user interface to the JSON web services provided by
It requires the jQuery-ui plugin "Fancytree" in the dir fancytree/
(under same dir as index.html
Installation of fancytree is one of the actions automated by data/
can be manually downloaded from:
The UI consists of the following sections:
A patent classification schema is selected using one of the CPC, IPC or USPC Radio buttons. A link to the official browser for the selected schema is provided. There are unfortunately many cases where our input data quality is lower than that of the official browser and this is most apparent with the USPC. In most cases the errors are readily apparent (e.g. 1123 US subclasses have no parent specified, so they are shown at the top of the hierarchy; or invalid references to other classes causing a broken link). In such cases the interested user is encouraged to consult the official browser.
Select Context
to update the Context section whenever a classification symbol is clicked, or Explore
to update the Explore section.
Results for the full-text query are displayed including snippets of matching text, limited to the top 50 hits. Clicking on a classification symbol displays it in either the Context or Explore sections. The query syntax is described at: and the fields available for use in queries are:
- Symbol, Level, **ClassTitle**, **NotesAndWarnings**, ClassTitleUnstemmed, NotesAndWarningsUnstemmed;
- Symbol, Level, Kind, **TextBody**, TextBodyUnstemmed;
- Symbol, **ClassTitle**, **SubClassTitle**, **SubClassDescription**, **Text** (all text not included in the previous fields), ClassTitleUnstemmed, SubClassTitleUnstemmed, SubClassDescriptionUnstemmed, TextUnstemmed;
- are searched by default when the query does not specify any fields; and
- have stemming applied (a search for
will matchactivating
and vice-versa).
Note: If the Stemming
checkbox is set not ticked then the corresponding Unstemmed
fields are searched by default, providing unstemmed search.
The selected symbol is shown along with all its ancestors, allowing the hierarchical text to be read in its proper context. References to symbols are shown as links which re-populate either the Context or Explore section:
== Between two parts of the page: materials data ==
____________
No. 1
Theoretical powder diffraction line list
Compound: InCu2Sn
Radiation: Cu Ka
Structure: the PBE geometry in Alexandria
No peak broadening, texture or thermal motion is included.

Top 8 peaks for 2θ = 10–80°, sorted by position:
26.6 deg, I 250, (0 1 2); 35.6 deg, I 1000, (1 0 4); 40.3 deg, I 942, (1 1 0); 54.8 deg, I 282, (0 2 4); 58.6 deg, I 188, (1 1 6); 70.2 deg, I 266, (2 1 4); 73.2 deg, I 155, (3 0 0); 75.5 deg, I 105, (1 0 10)

Structural model:
```
data_InCu2Sn
_chemical_formula_sum 'In3 Cu6 Sn3'
_symmetry_space_group_name_H-M 'R -3 m'
_symmetry_Int_Tables_number 166
_symmetry_space_group_name_Hall '-R 3 2"'
_cell_length_a 4.4788
_cell_length_b 4.4788
_cell_length_c 13.3063
_cell_angle_alpha 90.00
_cell_angle_beta 90.00
_cell_angle_gamma 120.00
loop_
_atom_site_label
_atom_site_type_symbol
_atom_site_fract_x
_atom_site_fract_y
_atom_site_fract_z
In1 In 0.0000 0.0000 0.0000
Cu1 Cu 0.0000 0.0000 0.2852
Sn1 Sn 0.0000 0.0000 0.5000
```

---

No. 2
Theoretical powder diffraction line list
Compound: Na3Sn2Hg4
Radiation: Cu Ka
Structure: the PBE geometry in Alexandria
No peak broadening, texture or thermal motion is included.

Top 8 peaks for 2θ = 10–80°, sorted by position:
19.9 deg, I 320, (2 0 0); 20.0 deg, I 616, (1 3 0); 26.3 deg, I 764, (0 0 2); 33.2 deg, I 963, (2 0 2); 34.8 deg, I 1000, (3 3 0); 35.0 deg, I 491, (0 6 0); 44.2 deg, I 802, (3 3 2); 44.4 deg, I 391, (0 6 2)

Structural model:
```
data_Na3Sn2Hg4
_chemical_formula_sum 'Na12 Sn8 Hg16'
_symmetry_space_group_name_H-M 'C c c m'
_symmetry_Int_Tables_number 66
_symmetry_space_group_name_Hall '-C 2 2c'
_cell_length_a 8.945
_cell_length_b 15.361
_cell_length_c 6.771
_cell_angle_alpha 90.00
_cell_angle_beta 90.00
_cell_angle_gamma 90.00
loop_
_atom_site_label
_atom_site_type_symbol
_atom_site_fract_x
_atom_site_fract_y
_atom_site_fract_z
Na1 Na 0.000 0.000 0.250
Na2 Na 0.000 0.338 0.250
Sn1 Sn 0.168 0.168 0.000
Hg1 Hg 0.166 0.499 0.500
Hg2 Hg 0.168 0.168 0.500
```

~~~~~

[1]
CaAl2B2O7: theoretical X-ray diffraction stick pattern (CuKα), based on a DFT-relaxed cell (GGA-PBE, Alexandria).

Structural model:
Cell: 15.9740 15.9740 15.9740 Å, 17.51 17.51 17.51°
Fractional positions:
Ca1 0.0000 0.0000 0.0000
Ca2 0.5000 0.5000 0.5000
Al1 0.2142 0.2142 0.2142
Al2 0.2858 0.2858 0.2858
Al3 0.7142 0.7142 0.7142
Al4 0.7858 0.7858 0.7858
B1 0.1341 0.1341 0.1341
B2 0.3659 0.3659 0.3659
B3 0.6341 0.6341 0.6341
B4 0.8659 0.8659 0.8659
O1 0.0635 0.4034 0.6279
O2 0.0966 0.4365 0.8721
O3 0.1279 0.9034 0.5635
O4 0.2500 0.2500 0.2500
O5 0.3721 0.9365 0.5966
O6 0.4034 0.6279 0.0635
O7 0.4365 0.8721 0.0966
O8 0.5635 0.1279 0.9034
O9 0.5966 0.3721 0.9365
O10 0.6279 0.0635 0.4034
O11 0.7500 0.7500 0.7500
O12 0.8721 0.0966 0.4365
O13 0.9034 0.5635 0.1279
O14 0.9365 0.5966 0.3721

The 6 most intense peaks (2θ from 5° to 70°), sorted by position:
| 2θ (°) | I/Imax |
| --- | --- |
| 11.25 | 100 |
| 22.41 | 48 |
| 22.62 | 35 |
| 26.00 | 66 |
| 34.07 | 68 |
| 43.66 | 32 |

=====

[2]
____________
- links to other CPC symbols are blue, links to IPC symbols are red. Selecting an IPC link switches the schema in the Schema Selection section.
- links to IPC symbols are blue
- links to fully specified symbols are blue, links specifying the just the subclass (class given by context) are green, unless a range is referred to, in which case the starting subclass is green and the ending subclass is red
Initially the specified symbol and all its ancestors are shown (as in the Context section - i.e. each node is shown with only a single child). However, clicking on any node causes all of its children to be displayed, allowing the full tree to be explored. Clicking on a symbol link in the tree re-populates either the Context or Explore section. The tree omits the CPC NotesAndWarnings and USPC Text fields in order to keep the size of the displayed text manageable. Use the Context section to view this information. The tree includes these fields:
- Symbol, Level, ClassTitle (not NotesAndWarnings)
- Symbol, Level, Kind, TextBody
- Symbol, ClassTitle, SubClassTitle, SubClassDescription (not Text)